Now work out how many lines below have the word "and" in them; a number is enough.

Entry from OMol25: a 2-piece molecular cluster, C5H15N2O overall at a distorted geometry (ωB97M-V with the def2-TZVPD basis set).

Structure (XYZ):
```
23
Properties=species:S:1:pos:R:3:forces:R:3:lowdin_spin:R:1
C 1.5594 -1.4231 -1.6255 -2.90 -1.63 1.89 0.017
H -4.2551 1.0042 -0.5912 -1.14 -0.42 0.05 0.000
H 1.0987 -0.4668 -1.6291 -0.41 0.76 -0.20 0.005
H 1.4388 1.2554 -1.0300 0.34 0.08 -0.24 0.004
H 2.5469 -0.0917 0.7509 -0.35 -1.19 1.09 0.005
H -0.2439 1.6124 -0.5690 0.85 0.38 -0.94 0.005
H 1.5025 -1.3169 1.9558 0.79 1.53 -2.29 0.000
N 0.6713 1.2029 -0.3836 -1.98 -2.74 4.36 0.290
H 2.8942 -2.2755 0.0163 0.07 0.19 -0.29 0.001
C 1.6580 -0.8015 0.8866 0.60 1.55 1.71 0.017
C -0.4727 0.2412 1.5345 -3.20 0.52 0.99 0.473
C 0.5994 0.2460 0.6794 1.85 0.21 -3.19 0.070
H -2.2605 0.9422 0.5525 1.29 1.15 0.55 0.014
H -3.8505 1.9359 -1.7204 -0.47 0.70 -1.11 0.000
H 2.1788 -1.4334 -2.4210 3.25 0.00 -1.88 0.001
H 1.2154 -2.6824 0.0097 -0.34 -0.57 0.45 0.002
H -2.1238 1.6128 2.1315 1.30 -1.05 -1.04 0.004
O -3.5273 1.4706 -0.9710 1.78 -0.53 1.48 0.003
H -0.9267 2.0949 1.0429 -1.66 -0.30 -0.13 0.004
C 1.8979 -1.8786 -0.1683 -0.52 -0.16 -1.84 0.016
H -0.8359 -0.4378 2.3193 1.20 -0.21 -0.47 0.012
H 0.7545 -2.0707 -2.0728 0.39 0.39 0.87 0.003
N -1.5192 1.2600 1.3026 -0.76 1.31 0.16 0.051
```
Forces are in eV/Å.

The LUMO energy (alpha / beta) is -8.04 / -12.32 eV. As for the total energy: -10435.169 eV. For the gap between HOMO and LUMO (alpha / beta), the calculation gives 10.652 / 6.362 eV. The net charge is +2. The spin multiplicity is 2. Its energy above the lowest of the compared OMol25 structures with the same formula, charge and spin is 78.41 kcal per mole.

----------

A 3-piece molecular cluster, C50H50N3O10PSi overall in a non-equilibrium geometry, computed with wB97M-V/def2-TZVPD.

Last column: Löwdin charge in e.
CARTESIAN COORDINATES (ANGSTROEM)
C  -7.79  1.35  1.31  0.0783
C  -6.65  2.11  1.35  -0.0649
C  -5.52  1.85  2.32  -0.4958
O  -5.65  0.96  3.13  0.1046
O  -4.40  2.62  2.18  -0.0543
C  -3.30  1.87  1.60  -0.1566
C  -3.45  1.88  0.06  -0.1755
C  -3.36  3.34  -0.49  -0.1690
C  -2.26  3.58  -1.56  -0.1934
C  -0.93  2.80  -1.33  -0.1619
C  -0.58  1.71  -2.42  -0.1381
C  -0.49  0.28  -1.84  -0.1866
C  0.71  0.02  -1.22  0.0139
C  1.00  -1.22  -0.59  -0.2125
N  2.24  -1.34  0.01  0.1490
C  2.33  -2.52  0.57  -0.0705
C  1.34  -3.58  0.56  -0.3342
N  1.60  -4.82  1.21  0.0922
N  0.19  -3.44  -0.04  0.1859
C  0.00  -2.21  -0.62  -0.1525
C  -1.26  -1.97  -1.27  -0.1039
C  -2.31  -3.11  -1.24  -0.0975
C  -2.68  -3.63  -2.68  -0.2630
O  -4.10  -3.56  -2.78  -0.2503
Si  -4.73  -4.30  -4.17  0.4591
C  -6.18  -3.20  -4.73  -0.1583
C  -3.53  -4.43  -5.61  -0.1716
C  -5.48  -5.96  -3.63  -0.1602
C  -1.54  -0.72  -1.88  -0.1114
P  -3.15  -0.41  -2.71  0.5244
O  -3.25  -1.05  -4.03  -0.2558
O  -3.47  1.16  -2.93  -0.1356
O  -4.31  -0.90  -1.69  -0.1134
H  -8.54  1.34  2.12  0.0820
H  -8.03  0.73  0.44  0.0793
H  -6.57  2.97  0.66  0.1164
H  -2.31  2.22  1.94  0.1159
H  -3.39  0.82  1.94  0.1312
H  -4.49  1.54  -0.13  0.0998
H  -2.79  1.16  -0.44  0.0768
H  -4.33  3.59  -0.97  0.1103
H  -3.28  4.03  0.36  0.1136
H  -2.01  4.65  -1.51  0.1059
H  -2.62  3.43  -2.59  0.0912
H  -0.11  3.54  -1.32  0.1082
H  -0.88  2.32  -0.34  0.1065
H  0.46  1.94  -2.73  0.1080
H  -1.18  1.77  -3.33  0.0929
H  1.49  0.79  -1.22  0.1329
H  3.27  -2.73  1.11  0.1220
H  1.94  -5.50  0.54  0.0922
H  2.36  -4.63  1.87  0.0743
H  -1.91  -3.99  -0.72  0.0999
H  -3.21  -2.82  -0.68  0.1155
H  -2.14  -3.07  -3.46  0.1022
H  -2.37  -4.69  -2.77  0.1176
H  -6.13  -2.20  -4.27  0.0265
H  -7.13  -3.66  -4.40  0.0196
H  -6.23  -3.11  -5.84  0.0305
H  -2.62  -5.02  -5.38  0.0310
H  -3.28  -3.43  -6.00  0.0397
H  -4.07  -4.95  -6.43  0.0379
H  -5.11  -6.77  -4.27  0.0251
H  -5.19  -6.13  -2.58  0.0306
H  -6.58  -5.87  -3.63  0.0218
H  -3.10  1.39  -3.80  0.0820
H  -3.97  -0.65  -0.81  0.0650
O  6.76  -1.35  -0.15  0.1037
C  7.02  -1.12  -1.31  -0.2761

1